Input >
/*
Entry 1:
# Ta5Al8
Theoretical powder diffraction line list, CuKα. Input: a GGA-PBE-relaxed structure.
Lines closer than 0.1° are merged.

```
Ta5Al8
1.0
2.589 1.495 9.246
-2.589 1.495 9.246
0.000 -2.990 9.246
Ta Al
5 8
Direct
0.000 0.000 0.000
0.169 0.169 0.169
0.348 0.348 0.348
0.652 0.652 0.652
0.831 0.831 0.831
0.089 0.089 0.585
0.089 0.585 0.089
0.415 0.911 0.911
0.454 0.454 0.454
0.546 0.546 0.546
0.585 0.089 0.089
0.911 0.415 0.911
0.911 0.911 0.415
```

Main lines, in order of rising 2θ (10 to 90 degrees two-theta):
two_theta	d [Å]	I/Imax
19.20	4.623	59
25.54	3.488	18
34.64	2.589	75
38.96	2.312	14
39.91	2.259	100
41.06	2.198	27
53.11	1.724	20
65.64	1.422	23

Entry 2:
# Ta7Al8
Theoretical powder diffraction line list, CuKα. Input: a GGA-PBE-relaxed structure.
Lines closer than 0.1° are merged.

```
Ta7Al8
1.0
10.020 0.000 0.000
0.000 10.020 0.000
0.000 0.000 5.084
Ta Al
14 16
Direct
0.000 0.000 0.000
0.024 0.372 0.500
0.099 0.099 0.500
0.128 0.524 0.000
0.372 0.024 0.500
0.401 0.599 0.000
0.476 0.872 0.000
0.500 0.500 0.500
0.524 0.128 0.000
0.599 0.401 0.000
0.628 0.976 0.500
0.872 0.476 0.000
0.901 0.901 0.500
0.976 0.628 0.500
0.062 0.260 0.000
0.183 0.817 0.250
0.183 0.817 0.750
0.240 0.562 0.500
0.260 0.062 0.000
0.317 0.317 0.250
0.317 0.317 0.750
0.438 0.760 0.500
0.562 0.240 0.500
0.683 0.683 0.250
0.683 0.683 0.750
0.740 0.938 0.000
0.760 0.438 0.500
0.817 0.183 0.250
0.817 0.183 0.750
0.938 0.740 0.000
```

Main lines, in order of rising 2θ (10 to 90 degrees two-theta):
two_theta	d [Å]	I/Imax
17.70	5.010	56
26.52	3.362	25
35.31	2.542	29
38.10	2.362	19
39.77	2.267	24
41.17	2.193	100
42.19	2.142	18
67.37	1.390	24

Entry 3:
# Ta4Al25
Theoretical powder diffraction line list, CuKα. Input: a GGA-PBE-relaxed structure.
Lines closer than 0.1° are merged.

```
Ta4Al25
1.0
-4.887 4.887 4.887
4.887 -4.887 4.887
4.887 4.887 -4.887
Ta Al
4 25
Direct
0.000 0.000 0.641
0.000 0.641 0.000
0.359 0.359 0.359
0.641 0.000 0.000
0.000 0.000 0.000
0.000 0.189 0.375
0.000 0.375 0.189
0.000 0.405 0.682
0.000 0.682 0.405
0.185 0.811 0.811
0.189 0.000 0.375
0.189 0.375 0.000
0.277 0.595 0.595
0.318 0.318 0.723
0.318 0.723 0.318
0.375 0.000 0.189
0.375 0.189 0.000
0.405 0.000 0.682
0.405 0.682 0.000
0.595 0.277 0.595
0.595 0.595 0.277
0.625 0.625 0.815
0.625 0.815 0.625
0.682 0.000 0.405
0.682 0.405 0.000
0.723 0.318 0.318
0.811 0.185 0.811
0.811 0.811 0.185
0.815 0.625 0.625
```

Main lines, in order of rising 2θ (10 to 90 degrees two-theta):
two_theta	d [Å]	I/Imax
18.15	4.887	24
22.28	3.990	58
28.89	3.091	13
34.33	2.612	13
39.10	2.304	100
43.43	2.084	16
45.47	1.995	15
70.85	1.330	26

Entry 4:
# Ta3Al2
Theoretical powder diffraction line list, CuKα. Input: a GGA-PBE-relaxed structure.
Lines closer than 0.1° are merged.

```
Ta3Al2
1.0
10.130 0.000 0.000
0.000 10.130 0.000
0.000 0.000 5.198
Ta Al
18 12
Direct
0.000 0.000 0.000
0.036 0.369 0.500
0.065 0.263 0.000
0.131 0.536 0.000
0.237 0.565 0.500
0.263 0.065 0.000
0.369 0.036 0.500
0.435 0.763 0.500
0.464 0.869 0.000
0.500 0.500 0.500
0.536 0.131 0.000
0.565 0.237 0.500
0.631 0.964 0.500
0.737 0.935 0.000
0.763 0.435 0.500
0.869 0.464 0.000
0.935 0.737 0.000
0.964 0.631 0.500
0.099 0.099 0.500
0.185 0.815 0.246
0.185 0.815 0.754
0.315 0.315 0.254
0.315 0.315 0.746
0.401 0.599 0.000
0.599 0.401 0.000
0.685 0.685 0.254
0.685 0.685 0.746
0.815 0.185 0.246
0.815 0.185 0.754
0.901 0.901 0.500
```

Main lines, in order of rising 2θ (10 to 90 degrees two-theta):
two_theta	d [Å]	I/Imax
12.36	7.163	36
17.51	5.065	18
19.19	4.625	34
34.51	2.599	45
36.58	2.457	35
40.62	2.221	100
41.63	2.170	44
65.97	1.416	26

Entry 5:
# Ta10Al3
Theoretical powder diffraction line list, CuKα. Input: a GGA-PBE-relaxed structure.
Lines closer than 0.1° are merged.

```
Ta10Al3
1.0
2.742 1.583 9.334
-2.742 1.583 9.334
0.000 -3.167 9.334
Ta Al
10 3
Direct
0.051 0.051 0.051
0.083 0.590 0.590
0.147 0.147 0.147
0.410 0.410 0.917
0.410 0.917 0.410
0.590 0.083 0.590
0.590 0.590 0.083
0.853 0.853 0.853
0.917 0.410 0.410
*/

Request >
The reader should type out the lines further above up to the one that holds "2.612", that line included.

Done >
Entry 1:
# Ta5Al8
Theoretical powder diffraction line list, CuKα. Input: a GGA-PBE-relaxed structure.
Lines closer than 0.1° are merged.

```
Ta5Al8
1.0
2.589 1.495 9.246
-2.589 1.495 9.246
0.000 -2.990 9.246
Ta Al
5 8
Direct
0.000 0.000 0.000
0.169 0.169 0.169
0.348 0.348 0.348
0.652 0.652 0.652
0.831 0.831 0.831
0.089 0.089 0.585
0.089 0.585 0.089
0.415 0.911 0.911
0.454 0.454 0.454
0.546 0.546 0.546
0.585 0.089 0.089
0.911 0.415 0.911
0.911 0.911 0.415
```

Main lines, in order of rising 2θ (10 to 90 degrees two-theta):
two_theta	d [Å]	I/Imax
19.20	4.623	59
25.54	3.488	18
34.64	2.589	75
38.96	2.312	14
39.91	2.259	100
41.06	2.198	27
53.11	1.724	20
65.64	1.422	23

Entry 2:
# Ta7Al8
Theoretical powder diffraction line list, CuKα. Input: a GGA-PBE-relaxed structure.
Lines closer than 0.1° are merged.

```
Ta7Al8
1.0
10.020 0.000 0.000
0.000 10.020 0.000
0.000 0.000 5.084
Ta Al
14 16
Direct
0.000 0.000 0.000
0.024 0.372 0.500
0.099 0.099 0.500
0.128 0.524 0.000
0.372 0.024 0.500
0.401 0.599 0.000
0.476 0.872 0.000
0.500 0.500 0.500
0.524 0.128 0.000
0.599 0.401 0.000
0.628 0.976 0.500
0.872 0.476 0.000
0.901 0.901 0.500
0.976 0.628 0.500
0.062 0.260 0.000
0.183 0.817 0.250
0.183 0.817 0.750
0.240 0.562 0.500
0.260 0.062 0.000
0.317 0.317 0.250
0.317 0.317 0.750
0.438 0.760 0.500
0.562 0.240 0.500
0.683 0.683 0.250
0.683 0.683 0.750
0.740 0.938 0.000
0.760 0.438 0.500
0.817 0.183 0.250
0.817 0.183 0.750
0.938 0.740 0.000
```

Main lines, in order of rising 2θ (10 to 90 degrees two-theta):
two_theta	d [Å]	I/Imax
17.70	5.010	56
26.52	3.362	25
35.31	2.542	29
38.10	2.362	19
39.77	2.267	24
41.17	2.193	100
42.19	2.142	18
67.37	1.390	24

Entry 3:
# Ta4Al25
Theoretical powder diffraction line list, CuKα. Input: a GGA-PBE-relaxed structure.
Lines closer than 0.1° are merged.

```
Ta4Al25
1.0
-4.887 4.887 4.887
4.887 -4.887 4.887
4.887 4.887 -4.887
Ta Al
4 25
Direct
0.000 0.000 0.641
0.000 0.641 0.000
0.359 0.359 0.359
0.641 0.000 0.000
0.000 0.000 0.000
0.000 0.189 0.375
0.000 0.375 0.189
0.000 0.405 0.682
0.000 0.682 0.405
0.185 0.811 0.811
0.189 0.000 0.375
0.189 0.375 0.000
0.277 0.595 0.595
0.318 0.318 0.723
0.318 0.723 0.318
0.375 0.000 0.189
0.375 0.189 0.000
0.405 0.000 0.682
0.405 0.682 0.000
0.595 0.277 0.595
0.595 0.595 0.277
0.625 0.625 0.815
0.625 0.815 0.625
0.682 0.000 0.405
0.682 0.405 0.000
0.723 0.318 0.318
0.811 0.185 0.811
0.811 0.811 0.185
0.815 0.625 0.625
```

Main lines, in order of rising 2θ (10 to 90 degrees two-theta):
two_theta	d [Å]	I/Imax
18.15	4.887	24
22.28	3.990	58
28.89	3.091	13
34.33	2.612	13